china law

Provisional Regulations on the Change of Equity Interests Among Investors in Foreign Investment Enterprises - 1997


Article 1 With a view to promoting the healthy development of foreign-invested Enterprises, protecting the legitimate rights and interest of all parties to the investment, and safeguarding social economic order, these regulations are formulated in accordance with the Company Law, Law of PRC on Chinese-Foreign Equity Joint Ventures, Law of PRC on Chinese-Foreign Contractual Joint Ventures, Law on Wholly Foreign-Owned Enterprises of the People¡¯s Republic of China and other related laws and regulations (hereinafter referred to as "these Regulations").

Article 2 For the purpose of these Regulations, change of equity interests of the investor in a Chinese-foreign Equity Joint Venture or a Chinese-foreign Contractual Joint Venture, or in a Wholly-foreign-owned Enterprise (hereinafter referred to as an "Enterprise") refers to any change as a result of the change of investor of the Enterprise or change of the ratio of contribution (including the provision of cooperation condition in case of a contractual joint venture) holds by the investor of the Enterprise. Change of equity interests includes but not limited to the change of equity interests resulting in the following circumstances:

(1) assign of equity interests by agreement among investors;

(2) assign of equity interests to the investor's affiliated enterprises or other assignees by an investor upon approval of other investors of the Enterprise;

(3) change of equity interests resulted from an adjustment in the registered capital of the Enterprise by agreement among the investors;

(4) acquisition of equity interests by a pawnee or a beneficiary as per law and contract, in which case an investor pledge its equity interests to a creditor upon approval of other parties to the investment;

(5) acquisition of equity interests by the heir, creditor or other beneficiaries in case of bankruptcy, dissolution, recession, license cancellation or death of an investor;

(6) lawful inheritance of equity interests by a successor created by merger or split-off between investors; and

(7) subject to the approval from the approval authority, change of investors or equity interests resulted by the investors¡¯ failure to fulfill its capital contribution obligation as stipulated in the joint venture contract or articles of association of the Enterprise.

Article 3 Change of equity interests of investors shall be conducted according to relevant Chinese laws and regulations, and approved and registered by the appropriate authorities in conformity with these Regulations. A change of equity interests is invalid unless approved by the appropriate authority.

Article 4 A change of equity interests of investors shall be conducted in accordance with provisions in relation to the investors' qualification and industrial policies under Chinese laws and regulations.

In areas where it is forbidden to set up Wholly-foreign-owned Enterprises specified in the Industrial Guidelines for Foreign Investment, a change of equity interests must not lead up to a situation where the total interests of the Enterprise is held by a foreign investor. In case a change of equity interests transforms the Enterprise into a Wholly-foreign-owned one, conditions specified in the Implementing Rules of the Law of PRC on Wholly-Foreign-Owned Enterprises must be satisfied.

In the industrial areas where state-owned assets are required to hold a controlling or dominant position, a change of equity interests must not lead up towards a controlling or dominant position by a foreign or non-state-owned enterprise.

These records of molecules were left in the page by mistake =
=====
# 1
Entry from the OMol25 dataset: a 3-piece molecular cluster, C27H53Br2ClF3N3O9S overall in a non-equilibrium geometry (wB97M-V/def2-TZVPD).

Last column: Mulliken charge in e.
Element x y z (Å)
C1 0.001 -2.898 -4.712  -0.973
C2 -1.407 -2.386 -4.511  1.156
C3 -2.443 -3.386 -4.103  -1.584
N1 -1.786 -1.194 -4.736  -0.486
C4 -1.078 -0.046 -4.472  1.249
Cl1 0.389 0.255 -5.522  -0.178
O1 -1.962 1.068 -4.811  -0.413
S1 -1.671 2.364 -3.949  1.085
O2 -1.026 3.361 -4.710  -0.624
O3 -2.820 2.677 -3.186  -0.567
O4 -0.543 1.679 -3.026  -0.473
C5 -0.801 0.278 -2.956  -0.621
C6 0.340 -0.400 -2.217  0.759
C7 1.760 -0.035 -2.644  -1.583
C8 2.799 -0.277 -1.567  0.166
F1 4.036 -0.199 -2.138  -0.290
Br1 2.664 1.110 -0.200  -0.031
C9 2.775 -1.647 -0.841  0.590
F2 1.790 -1.706 0.066  -0.125
F3 3.937 -1.809 -0.188  -0.254
Br2 2.606 -3.134 -2.067  -0.089
O5 -2.006 -0.041 -2.351  -0.595
C10 -2.220 0.487 -1.032  -1.589
C11 -2.235 -0.614 0.019  1.964
C12 -3.261 -1.706 -0.304  -1.460
C13 -2.438 -0.066 1.445  1.221
C14 -1.115 0.324 2.112  -1.732
C15 -3.406 1.118 1.530  -1.695
H1 0.310 -2.606 -5.716  0.353
H2 0.728 -2.457 -4.032  0.017
H3 0.026 -3.983 -4.649  0.393
H4 -2.313 -4.332 -4.631  0.461
H5 -2.335 -3.549 -3.028  0.285
H6 -3.439 -3.011 -4.328  0.377
H7 0.180 -1.478 -2.258  0.393
H8 0.219 -0.091 -1.177  0.346
H9 2.073 -0.608 -3.519  0.450
H10 1.832 1.012 -2.935  0.659
H11 -1.484 1.256 -0.782  0.423
H12 -3.184 0.994 -1.059  0.631
H13 -1.250 -1.094 0.021  -0.394
H14 -4.245 -1.479 0.110  0.107
H15 -2.935 -2.646 0.148  0.435
H16 -3.331 -1.887 -1.377  0.235
H17 -2.868 -0.862 2.060  -0.159
H18 -1.300 0.510 3.174  0.520
H19 -0.713 1.260 1.713  0.280
H20 -0.371 -0.474 2.060  0.344
H21 -3.730 1.280 2.558  0.295
H22 -2.935 2.035 1.164  0.423
H23 -4.292 0.962 0.908  0.343
C16 -5.820 -2.486 8.185  -0.713
O6 -6.678 -3.010 7.193  -0.344
C17 -7.797 -2.189 6.885  -0.792
C18 -7.691 -1.628 5.484  -0.157
N2 -6.621 -0.644 5.394  -0.297
C19 -6.309 -0.209 4.038  -0.983
C20 -5.765 -1.244 3.061  -0.235
O7 -4.475 -1.731 3.387  -0.360
C21 -4.443 -2.819 4.293  -0.738
H24 -5.093 -3.259 8.424  0.241
H25 -5.284 -1.594 7.842  0.296
H26 -6.373 -2.232 9.095  0.347
H27 -7.901 -1.382 7.617  0.412
H28 -8.691 -2.815 6.947  0.402
H29 -8.638 -1.148 5.220  0.345
H30 -7.544 -2.477 4.801  0.184
H31 -5.786 -1.035 5.810  0.077
H32 -5.568 0.591 4.118  0.438
H33 -7.208 0.237 3.601  0.385
H34 -5.660 -0.750 2.091  0.149
H35 -6.457 -2.081 2.912  0.431
H36 -5.324 -3.457 4.188  0.328
H37 -4.364 -2.487 5.332  0.215
H38 -3.553 -3.407 4.064  0.341
C22 5.528 4.196 -2.367  -0.694
O8 5.910 3.209 -1.432  -0.331
C23 6.138 1.920 -1.993  -0.610
C24 7.604 1.554 -1.918  -0.157
N3 8.399 2.368 -2.827  -0.334
C25 9.841 2.230 -2.663  -0.726
C26 10.459 2.674 -1.342  -0.456
O9 10.392 4.068 -1.111  -0.427
C27 9.201 4.533 -0.508  -0.529
H39 5.253 5.086 -1.803  0.251
H40 6.341 4.455 -3.055  0.323
H41 4.663 3.874 -2.956  0.268
H42 5.776 1.872 -3.025  0.393
H43 5.562 1.206 -1.410  0.176
H44 7.723 0.500 -2.190  0.380
=====

Article 5 A change of equity interests of investors must not cause the shareholdings held by the foreign investor is less than 25% of the registered capital of the Enterprise, except in the case where the foreign investor assigns all its equity interests to the Chinese investor.

Article 6 Upon the agreement by the other parties of the Enterprise, the investor who has made its capital contribution may pledge, subject to the approval of relevant authority, its equity interests resulted from such contribution to a pawnee by a hypothecation contract according to the Security Law of People¡¯s Republic of China (hereinafter referred to as the "Security Law"). An investor is forbidden to pledge the equity interests which is contractually obligated to subscribe but however has not yet been subscribed at the of time of such pledge by such investor. Neither can an investor pledge its equity interests to the Enterprise invested by such investor itself.

During the period of hypothecation, the pledgor continues to hold the investor status, and the pledgee must not assign the equity interests under the hypothecation unless approved by the pledgor and other investors. The pledgee must not assign or multi-charge his equity under the hypothecation.

Rights, obligations and the terms of the hypothecation contract are subject to provisions of applicable laws, regulations and these Regulations.

Article 7 A change of equity interests of an investor shall be approved by the authority which approved the establishment of such Enterprise. A change of equity interests of a Chinese-foreign equity or contractual joint ventures must be approved by the Ministry of Foreign Trade and Economic Cooperation (hereinafter referred to as MOFTEC) if such a change will create a Wholly-foreign-owned Enterprise engages in an industry where foreign investment is restricted by the Provisional Guidance on Foreign Investment.

In case any increase in registered capital of an Enterprise results in a change of equity interests and therefore the total amount of investment surpasses the regulatory approval mandate of the original approval authority in terms of amount threshold, the change of equity interests shall be reported to the higher authority for approval according to the regulatory mandate and related regulations.

A change of equity interests shall be registered with the original registration authority. Such a change approved by MOFEC shall be registered with the State Administration of Industry and Commerce, or with the original registration agency authorized thereby.

Article 8 In case of a change of equity interests of a Chinese party who invests with state-owned assets, an assessment of the equity interests in question must be conducted by relevant state-owned assets evaluation agency first and confirmed by state-owned assets administration thereafter. The confirmed result of the evaluation shall be the basis for computing the value of the equity interests to be assigned.

Article 9 An Enterprise which needs to change the equity interests of its investors for reasons specified in Article 2(1) and 2(2) shall submit the following documents to the approving authority:

(1) a written application for change of equity interests of investors;

(2) the original contract and articles of association of the Enterprise, together with the agreement for amendment;

(3) copies of its approval certificate and business license;

(4) resolution of the board of directors regarding the change of equity interests;

(5) a name list of the board members after the change of equity interests of investors;

(6) an equity assignment agreement executed by and between the assignor and the assignee and recognized or confirmed otherwise by other investors in signature or other written forms to that effect; and

(7) other documents that the approval authority requires to be submitted.

Article 10 An equity interests assignment agreement shall cover the following major particulars:

(1) names and domiciles of the assignor and assignee, as well as the names, positions and nationalities of their legal representatives;

(2) the percentage and price of the equity interests to be assigned ;

(3) the time limit for settlement and the manner of the assignment;

(4) the rights and obligations of the assignee under the joint venture contract and articles of association;

(5) responsibilities for breach of contract;

(6) applicable laws and settlement of disputes;

(7) effectiveness and termination of the assignment agreement; and

(8) time and venue of conclusion of the assignment agreement.

Article 11 If an equity interests needs to be changed for the reason set forth in Article 2(3) of these Regulations, shall conform with the relevant specific regulations issued by MOFTEC and the State Administration of Industry and Commerce. Apart from documents specified in Article 9(1), 9(2), 9(3), 9(4) and 9(5), the Enterprise shall submit to the approval authority an agreement among investors on the change of equity interests.

Article 12 Upon execution of an equity interests hypothecation agreement between the investors and the pledgee, the following documents shall be submitted to the Enterprise's original approval authority for review:

(1) the resolutions of the board of directors and other investors in the Enterprise concerning the consent to the pledging investor's pledge of its equity interests;

(2) the hypothecation contract concluded between the pledgor and the pledgee;

(3) the capital contribution verification certificate of the pledging investor, and

(4) the investment verification report issued for the Enterprise by an accountant registered in China and the accountant's firm.

The approval authority shall decide whether to grant the approval or not within 30 days of the receipt of the complete documentation as specified in the preceding paragraph. Within 30 days of obtaining the official reply in which the approval authority agrees to the pledge of the equity interests by the investor in the Enterprise, the Enterprise shall record the pledge the with the original registration authority on the strength of the relevant reply document.

Any pledge of equity interests without an appropriate approval or registration in accordance with this Article shall be deemed invalid.

Article 13 According to the Security Law, when and where the pledged equity interests under pledge is put into interests of the pledgee or other beneficiaries, the Enterprise shall produce effective documents evidencing the acquisition of such equity interests by the pledgee or other beneficiaries, in addition to the documents specified in Article 9(1), 9(2), 9(3) and 9(5). The approval authority shall consider the case on the basis of the above-mentioned documents, the documents specified in Article 12 hereof and provisions of relevant laws and regulations.

Article 14 In case of an equity interests needs to be changed for a reason set forth in Article 2(5) and 2(6) hereof, the Enterprise shall submit, in addition to the documents specified in Article 9(1), 9(2), 9(3) and 9(5) hereof, to the original approval authority valid documentary evidence of the acquisition of the equity interests of the original investor by the successor receiver.

In case of a change of investor of an Enterprise under circumstances specified in Article 2(5) and 2(6), the Enterprise may apply to the original approval authority for termination of the original joint venture contract and articles of association if other investors do not wish to continue the operation of the Enterprise. Upon termination of the joint venture contract and articles of association, acquirer of the equity interests has the right to take part in the liquidation committee and to be distributed the remaining assets of the Enterprise after liquidation. If the acquirer of the equity interests does not wish to continue operations, the equity interests may be assigned to other investors or a third party subject to agreement among other investors.

Article 15 If an investor needs to be replaced or equity interests needs to be changed for the reason set forth in Article 2(7) hereof, only the non-defaulting investor is entitled to submit a unilateral application to the approval authority to make such change. Apart from documents specified in Article 9(1), 9(2), 9(3) and 9(5) hereof, the non-defaulting investor shall submit the following documents to the approval authority:

(1) the investment verification report issued for the Enterprise by an accountant registered in China and the accountant's firm; and

(2) documentary evidence of the non-defaulting investor's urging the investor in breach to make or make in full its capital contribution.

Where a new investor is taking part in the Enterprise, such new investor's lawful certificate of incorporation and a certificate of creditworthiness shall also be presented to the approval authority. Where the defaulting investor has partially paid up its capital contribution as set forth in the original joint venture contract and articles of association, documents evidencing the disposing manners towards such part of paid-up capital contribution shall also be presented to the approval granting authority.

Article 16 In case of a change of equity interests by a Chinese party who originally subscribed its registered capital in the Enterprise with state-owned assets, the Enterprise must submit, inter alia, the following documents to the approval authority:

(1) written comments by the superior authority of the Chinese investor over the change of equity interests;

(2) the assets evaluation report issued by a qualified state-owned assets evaluation agency over the equity interests to be adjusted; and

(3) a written confirmation given by the state-owned assets administration department in respect of the above assets evaluation report.

Article 17 The approval authority shall decide whether to grant the approval or not within 30 days after receipt of the complete documentation as required.

The Enterprise shall complete the formalities to revise the approval certificate for the foreign-invested enterprise with the approval authority within 30 days of the approval of the change of equity interests.

In case of a change of equity interests resulting that the Chinese party becomes the sole equity interests holder, the original approval certificate for the foreign-invested enterprise shall be canceled with the approval authority within 30 days of approval of the change of equity interests. The approval authority shall thereafter issue to the original registration authority a notice on the cancellation of the approval certificate within 15 days of such cancellation.

Article 18 The Enterprise shall apply to the registration authority for revision of its registration in accordance with the Rules of PRC on Registration of Enterprise Legal Persons and the Rules of PRC on Registration of Companies, within 30 days of the revision or cancellation of the Approval Certificate for foreign-invested enterprise. Failure to revise the registration with the proper authority in line with these Regulations will result in punishment by the registration authority according to relevant regulations.

Article 19 When applying for a revision of the registration due to change of equity interests, the Enterprise shall present to the registration authority relevant documents previously submitted to the approval authority, the approval documents issued by the approval authority in respect therewith and other documentation requested by the registration authority.

In case of a change in investors or equity interests under the circumstance of Article 2 (7), documents on the appointment of new directors, their identities and the resolution of the new board of directors in respect therewith shall be presented to the registration authority apart from those documentation specified in Article 15.

Where a change of equity interests resulting that the Chinese party becomes the sole holder of the equity interests, the Enterprise shall, while applying for a revision a its original incorporate registration, present to the registration authority relevant documents in line with type of business of the proposed newly established enterprise. Upon the confirmation by the registration authority, the Enterprise's PRC Business License of Enterprise Legal Person shall be canceled and replaced by a new Business License of Enterprise Legal Person.

Article 20 The equity interests assignment agreement and the agreement on amendment of the original contract and articles of association shall come into force as of the date the issuance by the approval authority of an approval regarding the alteration of the foreign-invested enterprise certificate. Upon the effectiveness of these documentation, the investors shall enjoy the rights and fulfill the obligations as provided for in the revised contract and articles of association.

Article 21 Unless otherwise specified in laws and regulations, these Regulations may apply to the assignment of the non-public listing shares of a Foreign-invested Company Limited by Shares.

Article 22 Change in equity shares of the enterprises with investment by companies, individuals and economic entities from Hong Kong, Macao, and Taiwan in other parts of China shall be handled by reference to these Regulations.

Article 23 These Regulations shall come into force as of the day of promulgation.